**To do:**
Now filter the rows below: keep the lines with the word "Radiation".

**Excerpt:**
Calculated powder diffractogram
Compound: Sr3Sn5Cl16
Radiation: Cu Ka
Structure: a cell relaxed with GGA-PBE
Peak positions follow from Bragg's law for the DFT cell and can differ from measured ones.

Structure:
```
data_Sr3Sn5Cl16
_chemical_formula_sum 'Sr6 Sn10 Cl32'
_space_group_name_H-M_alt 'C 1 m 1'
_space_group_IT_number 8
_space_group_name_Hall 'C -2y'
_cell_length_a 15.1457
_cell_length_b 8.7571
_cell_length_c 12.9127
_cell_angle_alpha 90.00
_cell_angle_beta 90.41
_cell_angle_gamma 90.00
loop_
_atom_site_label
_atom_site_type_symbol
_atom_site_fract_x
_atom_site_fract_y
_atom_site_fract_z
Sr1 Sr 0.0000 0.0000 0.0000
Sr2 Sr 0.0753 0.2503 0.5033
Sn1 Sn 0.2466 0.2474 0.0013
Sn2 Sn 0.3194 0.0000 0.4971
Sn3 Sn 0.3322 0.5000 0.7333
Sn4 Sn 0.4957 0.0000 0.2323
Cl1 Cl 0.0918 0.2462 0.1077
Cl2 Cl 0.1375 0.5000 0.3705
Cl3 Cl 0.1561 0.0000 0.3886
Cl4 Cl 0.1664 0.0000 0.8872
Cl5 Cl 0.1866 0.5000 0.8695
Cl6 Cl 0.2458 0.2301 0.6089
Cl7 Cl 0.3257 0.0000 0.1148
Cl8 Cl 0.3321 0.5000 0.1102
Cl9 Cl 0.4063 0.2903 0.8594
Cl10 Cl 0.4280 0.2179 0.3563
Cl11 Cl 0.4889 0.0000 0.6109
Cl12 Cl 0.4960 0.5000 0.6157
```

Largest 12 diffraction maxima, low angle first, 10° ≤ 2θ ≤ 90°:
- 13.55°, I = 100, hkl 2 0 1
- 13.72°, I = 32, hkl 0 0 2
- 18.03°, I = 33, hkl 2 0 -2
- 24.49°, I = 53, hkl 3 1 -2
- 24.61°, I = 32, hkl 3 1 2
- 27.23°, I = 28, hkl 4 0 -2
- 27.34°, I = 26, hkl 2 2 2
- 31.38°, I = 36, hkl 4 0 -3
- 31.53°, I = 40, hkl 2 2 3
- 41.27°, I = 63, hkl 0 4 0
- 42.28°, I = 19, hkl 2 2 -5
- 42.45°, I = 26, hkl 2 2 5

=====

Calculated powder diffractogram
Compound: ScMnH3
Radiation: Cu Ka
Structure: a cell relaxed with GGA-PBE
Peak positions follow from Bragg's law for the DFT cell and can differ from measured ones.

Structure:
```
data_ScMnH3
_chemical_formula_sum 'Sc8 Mn8 H24'
_space_group_name_H-M_alt 'C m c e'
_space_group_IT_number 64
_space_group_name_Hall '-C 2ac 2'
_cell_length_a 7.0554
_cell_length_b 9.5679
_cell_length_c 4.5863
_cell_angle_alpha 90.00
_cell_angle_beta 90.00
_cell_angle_gamma 90.00
loop_
_atom_site_label
_atom_site_type_symbol
_atom_site_fract_x
_atom_site_fract_y
_atom_site_fract_z
Sc1 Sc 0.2500 0.1314 0.2500
Mn1 Mn 0.0000 0.1087 0.7423
H1 H 0.0000 0.0606 0.3656
H2 H 0.0000 0.2365 0.0228
H3 H 0.2500 0.1094 0.7500
```

Largest 12 diffraction maxima, low angle first, 10° ≤ 2θ ≤ 90°:
- 37.25°, I = 100, hkl 2 2 1
- 37.60°, I = 23, hkl 0 4 0
- 39.29°, I = 23, hkl 0 0 2
- 42.63°, I = 3, hkl 0 4 1
- 51.83°, I = 10, hkl 4 0 0
- 55.51°, I = 14, hkl 0 4 2
- 65.78°, I = 8, hkl 4 4 0
- 66.93°, I = 8, hkl 4 0 2
- 67.63°, I = 12, hkl 2 6 1
- 69.88°, I = 14, hkl 2 2 3
- 79.39°, I = 9, hkl 4 4 2
- 88.17°, I = 7, hkl 6 2 1

=====

Calculated powder diffractogram
Compound: Tb2Sm2Tm5
Radiation: Cu Ka
Structure: a cell relaxed with GGA-PBE
Peak positions follow from Bragg's law for the DFT cell and can differ from measured ones.

Structure:
```
data_Tb2Sm2Tm5
_chemical_formula_sum 'Tb2 Sm2 Tm5'
_space_group_name_H-M_alt 'P -1'
_space_group_IT_number 2
_space_group_name_Hall '-P 1'
_cell_length_a 3.5738
_cell_length_b 8.7694
_cell_length_c 9.4115
_cell_angle_alpha 76.75
_cell_angle_beta 79.11
_cell_angle_gamma 89.97
loop_
_atom_site_label
_atom_site_type_symbol
_atom_site_fract_x
_atom_site_fract_y
_atom_site_fract_z
Tb1 Tb 0.1661 0.0002 0.1671
Sm1 Sm 0.0917 0.3345 0.3150
Tm1 Tm 0.2410 0.6661 0.0194
Tm2 Tm 0.4244 0.3330 0.6503
Tm3 Tm 0.5000 0.0000 0.5000
```

Largest 12 diffraction maxima, low angle first, 10° ≤ 2θ ≤ 90°:
- 29.09°, I = 36, hkl 1 0 2
- 29.77°, I = 22, hkl 0 0 3
- 31.47°, I = 74, hkl 0 3 0
- 32.15°, I = 100, hkl 1 1 -1
- 32.26°, I = 49, hkl 0 2 3
- 33.89°, I = 88, hkl -1 2 1
- 33.96°, I = 43, hkl 0 1 -3
- 40.62°, I = 22, hkl 0 2 -3
- 51.31°, I = 38, hkl 1 1 5
- 58.71°, I = 27, hkl -1 5 1
- 61.27°, I = 22, hkl 2 3 1
- 61.44°, I = 44, hkl 1 4 5

=====

Calculated powder diffractogram
Compound: Er2Zn2Ga3
Radiation: Cu Ka
Structure: a cell relaxed with GGA-PBE

**Done:**
Radiation: Cu Ka
Radiation: Cu Ka
Radiation: Cu Ka
Radiation: Cu Ka